# Work order
Could you give back the material underneath from the first line to the one with "(0.366, 0.250," verbatim?

# Input
- - -
Diffraction record for Dy5HgTe2. The powder diffraction line list is computed, not measured: it uses the GGA-PBE geometry in Alexandria and λ = 1.5418 Å (Cu Kα).
Lines closer than 0.1° are merged.

Largest 8 diffraction maxima, in order of rising 2θ, 10° ≤ 2θ ≤ 80°:
2θ = 24.71°, I = 26, hkl 0 2 3
2θ = 29.85°, I = 67, hkl 2 0 0
2θ = 31.84°, I = 36, hkl 1 1 4
2θ = 33.07°, I = 100, hkl 1 3 3
2θ = 39.30°, I = 20, hkl 1 5 1
2θ = 41.16°, I = 18, hkl 0 0 6
2θ = 51.67°, I = 16, hkl 2 0 6
2θ = 55.07°, I = 25, hkl 3 3 3

a = 5.986 Å, b = 12.635 Å, c = 13.158 Å
α = 90.00°, β = 90.00°, γ = 90.00°
Space group Cmcm (No. 63)
Symmetry-distinct sites (fractional):
Dy (0.000, 0.053, 0.113)
Dy (0.000, 0.378, 0.750)
Dy (0.000, 0.383, 0.057)
Hg (0.000, 0.255, 0.250)
Te (0.000, 0.189, 0.590)



Diffraction record for CaNd2Sn9. The powder diffraction line list is computed, not measured: it uses the GGA-PBE geometry in Alexandria and λ = 1.5418 Å (Cu Kα).
Lines closer than 0.1° are merged.

Largest 8 diffraction maxima, in order of rising 2θ, 10° ≤ 2θ ≤ 80°:
2θ = 32.51°, I = 100, hkl 1 1 3
2θ = 37.15°, I = 35, hkl 2 0 0
2θ = 38.82°, I = 15, hkl 0 0 6
2θ = 53.55°, I = 13, hkl 2 2 0
2θ = 54.82°, I = 23, hkl 2 0 6
2θ = 64.06°, I = 29, hkl 3 1 3
2θ = 66.32°, I = 13, hkl 1 1 9
2θ = 68.08°, I = 12, hkl 2 2 6

a = 4.840 Å, b = 4.840 Å, c = 13.919 Å
α = 90.00°, β = 90.00°, γ = 90.00°
Space group P4/mmm (No. 123)
Symmetry-distinct sites (fractional):
Ca (0.000, 0.000, 0.000)
Nd (0.000, 0.000, 0.336)
Sn (0.000, 0.500, 0.165)
Sn (0.000, 0.500, 0.500)
Sn (0.500, 0.500, 0.000)
Sn (0.500, 0.500, 0.332)



Diffraction record for Zn2SnRh5. The powder diffraction line list is computed, not measured: it uses the GGA-PBE geometry in Alexandria and λ = 1.5418 Å (Cu Kα).
Lines closer than 0.1° are merged.

Largest 8 diffraction maxima, in order of rising 2θ, 10° ≤ 2θ ≤ 80°:
2θ = 33.61°, I = 4, hkl 1 1 2
2θ = 40.37°, I = 100, hkl 1 1 4
2θ = 44.52°, I = 38, hkl 2 0 0
2θ = 51.56°, I = 12, hkl 0 0 8
2θ = 59.99°, I = 2, hkl 2 0 6
2θ = 64.79°, I = 12, hkl 2 2 0
2θ = 70.45°, I = 18, hkl 2 0 8
2θ = 79.18°, I = 27, hkl 3 1 4

a = 4.070 Å, b = 4.070 Å, c = 14.181 Å
α = 90.00°, β = 90.00°, γ = 90.00°
Space group I4/mmm (No. 139)
Symmetry-distinct sites (fractional):
Zn (0.000, 0.000, 0.249)
Sn (0.000, 0.000, 0.500)
Rh (0.000, 0.000, 0.000)
Rh (0.000, 0.500, 0.131)



Diffraction record for Pu2Pa3Ga3. The powder diffraction line list is computed, not measured: it uses the GGA-PBE geometry in Alexandria and λ = 1.5418 Å (Cu Kα).
Lines closer than 0.1° are merged.

Largest 8 diffraction maxima, in order of rising 2θ, 10° ≤ 2θ ≤ 80°:
2θ = 19.70°, I = 22, hkl 1 1 0
2θ = 26.31°, I = 23, hkl 0 3 1
2θ = 32.91°, I = 18, hkl 1 4 0
2θ = 33.87°, I = 26, hkl 0 0 2
2θ = 34.57°, I = 100, hkl 1 4 -1
2θ = 36.56°, I = 51, hkl 2 0 -1
2θ = 37.53°, I = 21, hkl 2 0 0
2θ = 39.59°, I = 49, hkl 1 4 1

a = 4.993 Å, b = 13.226 Å, c = 5.513 Å
α = 90.00°, β = 106.31°, γ = 90.00°
Space group P2_1/m (No. 11)
Symmetry-distinct sites (fractional):
Pu (0.206, 0.134, 0.327)
Pa (0.312, 0.521, 0.741)
Pa (0.366, 0.250, 0.873)
Ga (0.169, 0.608, 0.207)
Ga (0.262, 0.750, 0.565)



Diffraction record for PmSm4Te7. The powder diffraction line list is computed, not measured: it uses the GGA-PBE geometry in Alexandria and λ = 1.5418 Å (Cu Kα).
Lines closer than 0.1° are merged.

Largest 8 diffraction maxima, in order of rising 2θ, 10° ≤ 2θ ≤ 80°:
2θ = 20.72°, I = 50, hkl 2 0 2
2θ = 26.65°, I = 57, hkl 2 0 3
2θ = 27.25°, I = 48, hkl 2 0 -4
2θ = 27.70°, I = 86, hkl 3 1 -1
2θ = 29.09°, I = 100, hkl 3 1 -2
2θ = 29.97°, I = 78, hkl 3 1 1
2θ = 36.39°, I = 53, hkl 1 1 4
2θ = 41.80°, I = 68, hkl 0 2 0

a = 14.598 Å, b = 4.321 Å, c = 13.405 Å
α = 90.00°, β = 104.25°, γ = 90.00°
Space group Cm (No. 8)
Symmetry-distinct sites (fractional):
Pm (0.000, 0.000, 0.000)
Sm (0.116, 0.000, 0.424)
Sm (0.231, 0.000, 0.847)
Sm (0.316, 0.500, 0.236)
Sm (0.415, 0.000, 0.611)
Te (0.077, 0.000, 0.640)
Te (0.115, 0.500, 0.922)
Te (0.154, 0.000, 0.208)
- - -

# Outcome
Diffraction record for Dy5HgTe2. The powder diffraction line list is computed, not measured: it uses the GGA-PBE geometry in Alexandria and λ = 1.5418 Å (Cu Kα).
Lines closer than 0.1° are merged.

Largest 8 diffraction maxima, in order of rising 2θ, 10° ≤ 2θ ≤ 80°:
2θ = 24.71°, I = 26, hkl 0 2 3
2θ = 29.85°, I = 67, hkl 2 0 0
2θ = 31.84°, I = 36, hkl 1 1 4
2θ = 33.07°, I = 100, hkl 1 3 3
2θ = 39.30°, I = 20, hkl 1 5 1
2θ = 41.16°, I = 18, hkl 0 0 6
2θ = 51.67°, I = 16, hkl 2 0 6
2θ = 55.07°, I = 25, hkl 3 3 3

a = 5.986 Å, b = 12.635 Å, c = 13.158 Å
α = 90.00°, β = 90.00°, γ = 90.00°
Space group Cmcm (No. 63)
Symmetry-distinct sites (fractional):
Dy (0.000, 0.053, 0.113)
Dy (0.000, 0.378, 0.750)
Dy (0.000, 0.383, 0.057)
Hg (0.000, 0.255, 0.250)
Te (0.000, 0.189, 0.590)



Diffraction record for CaNd2Sn9. The powder diffraction line list is computed, not measured: it uses the GGA-PBE geometry in Alexandria and λ = 1.5418 Å (Cu Kα).
Lines closer than 0.1° are merged.

Largest 8 diffraction maxima, in order of rising 2θ, 10° ≤ 2θ ≤ 80°:
2θ = 32.51°, I = 100, hkl 1 1 3
2θ = 37.15°, I = 35, hkl 2 0 0
2θ = 38.82°, I = 15, hkl 0 0 6
2θ = 53.55°, I = 13, hkl 2 2 0
2θ = 54.82°, I = 23, hkl 2 0 6
2θ = 64.06°, I = 29, hkl 3 1 3
2θ = 66.32°, I = 13, hkl 1 1 9
2θ = 68.08°, I = 12, hkl 2 2 6

a = 4.840 Å, b = 4.840 Å, c = 13.919 Å
α = 90.00°, β = 90.00°, γ = 90.00°
Space group P4/mmm (No. 123)
Symmetry-distinct sites (fractional):
Ca (0.000, 0.000, 0.000)
Nd (0.000, 0.000, 0.336)
Sn (0.000, 0.500, 0.165)
Sn (0.000, 0.500, 0.500)
Sn (0.500, 0.500, 0.000)
Sn (0.500, 0.500, 0.332)



Diffraction record for Zn2SnRh5. The powder diffraction line list is computed, not measured: it uses the GGA-PBE geometry in Alexandria and λ = 1.5418 Å (Cu Kα).
Lines closer than 0.1° are merged.

Largest 8 diffraction maxima, in order of rising 2θ, 10° ≤ 2θ ≤ 80°:
2θ = 33.61°, I = 4, hkl 1 1 2
2θ = 40.37°, I = 100, hkl 1 1 4
2θ = 44.52°, I = 38, hkl 2 0 0
2θ = 51.56°, I = 12, hkl 0 0 8
2θ = 59.99°, I = 2, hkl 2 0 6
2θ = 64.79°, I = 12, hkl 2 2 0
2θ = 70.45°, I = 18, hkl 2 0 8
2θ = 79.18°, I = 27, hkl 3 1 4

a = 4.070 Å, b = 4.070 Å, c = 14.181 Å
α = 90.00°, β = 90.00°, γ = 90.00°
Space group I4/mmm (No. 139)
Symmetry-distinct sites (fractional):
Zn (0.000, 0.000, 0.249)
Sn (0.000, 0.000, 0.500)
Rh (0.000, 0.000, 0.000)
Rh (0.000, 0.500, 0.131)



Diffraction record for Pu2Pa3Ga3. The powder diffraction line list is computed, not measured: it uses the GGA-PBE geometry in Alexandria and λ = 1.5418 Å (Cu Kα).
Lines closer than 0.1° are merged.

Largest 8 diffraction maxima, in order of rising 2θ, 10° ≤ 2θ ≤ 80°:
2θ = 19.70°, I = 22, hkl 1 1 0
2θ = 26.31°, I = 23, hkl 0 3 1
2θ = 32.91°, I = 18, hkl 1 4 0
2θ = 33.87°, I = 26, hkl 0 0 2
2θ = 34.57°, I = 100, hkl 1 4 -1
2θ = 36.56°, I = 51, hkl 2 0 -1
2θ = 37.53°, I = 21, hkl 2 0 0
2θ = 39.59°, I = 49, hkl 1 4 1

a = 4.993 Å, b = 13.226 Å, c = 5.513 Å
α = 90.00°, β = 106.31°, γ = 90.00°
Space group P2_1/m (No. 11)
Symmetry-distinct sites (fractional):
Pu (0.206, 0.134, 0.327)
Pa (0.312, 0.521, 0.741)
Pa (0.366, 0.250, 0.873)